Excerpt =
- - -
Computed powder X-ray diffraction pattern
Compound: NbIr3
Radiation: Cu Kα, 1.54184 Å
Structure: a cell relaxed with PBE
Peak positions follow from Bragg's law for the DFT cell and can differ from measured ones.

Atomic structure:
Unit cell a=3.931 b=3.931 c=3.931 alpha=90.00 beta=90.00 gamma=90.00
Space group Pm-3m (No. 221)
Asymmetric unit:
1 Nb 0.000 0.000 0.000 [1 per cell]
2 Ir 0.000 0.500 0.500 [3 per cell]

The 8 most intense peaks (2θ = 15–90°), in order of rising 2θ:
| 2θ (°) | I_rel | h k l |
| --- | --- | --- |
| 22.62 | 6 | 1 0 0 |
| 32.20 | 5 | 1 1 0 |
| 39.71 | 100 | 1 1 1 |
| 46.18 | 49 | 2 0 0 |
| 52.01 | 3 | 2 1 0 |
| 67.37 | 32 | 2 2 0 |
| 81.14 | 38 | 3 1 1 |
| 85.57 | 11 | 2 2 2 |
- - -

Wanted =
The reader should type out the contents further up from the first line to the one with "46.18" unchanged.

Worked solution =
Computed powder X-ray diffraction pattern
Compound: NbIr3
Radiation: Cu Kα, 1.54184 Å
Structure: a cell relaxed with PBE
Peak positions follow from Bragg's law for the DFT cell and can differ from measured ones.

Atomic structure:
Unit cell a=3.931 b=3.931 c=3.931 alpha=90.00 beta=90.00 gamma=90.00
Space group Pm-3m (No. 221)
Asymmetric unit:
1 Nb 0.000 0.000 0.000 [1 per cell]
2 Ir 0.000 0.500 0.500 [3 per cell]

The 8 most intense peaks (2θ = 15–90°), in order of rising 2θ:
| 2θ (°) | I_rel | h k l |
| --- | --- | --- |
| 22.62 | 6 | 1 0 0 |
| 32.20 | 5 | 1 1 0 |
| 39.71 | 100 | 1 1 1 |
| 46.18 | 49 | 2 0 0 |